Congratulations on the new addition to your family! Preparing for a baby can be an exciting time. While there is an abundance of products available for your baby and new parents alike, modern gadgets and modern products , may not necessarily be the solution you had hoped for.   New parents may understandably be overwhelmed and excited want whats best and be persuaded to make irrational purchases.  Its important to really take a step back and think about what your needs are.  Do you need a certain product,  or can it wait, perhaps can it be purchased when you see it need for, and therefore be purchased at a later time. Questions you have to ask yourselves, are you really going to be using this product and how.   While times have changed since our parents and grandparents times,  current products were not available in their time and they did just fine without them.  Newer available gadgets and modern conveniences may add additional stress and complication.  Having said that here’s a list of top essential things to consider getting for your baby. 

  1. Crib or Bassinet: A safe and comfortable sleeping space for your baby is essential. A crib is ideal for when the baby gets older, while a bassinet is convenient for the early months when they are smaller and need to sleep closer to you.

  2. Car Seat: A properly installed car seat is a must for your baby’s safety during car journeys. Make sure to choose one suitable for your baby’s age and weight.

Here the page breaks off for data records >
<<<
Here is a structure of composition C25H56N4O2SbSi5Ti in a non-equilibrium geometry from the OMol25 dataset. Energies are from the ωB97M-V functional and the def2-TZVPD basis.

## Properties
Electronic energy   -105935.2726 eV
Spin multiplicity   3
Energy above the lowest of the compared OMol25 structures with the same formula, charge and spin   21.6 kJ/mol
Max |F|   1.69 eV/A
LUMO level (alpha / beta)   0.0937 / 0.0754 hartree
Net charge   -1
Frontier orbital gap (alpha / beta)   6.24 / 6.06 eV

Structure (XYZ):
```
94
C25H56N4O2SbSi5Ti | the OMol25 dataset | the ωB97M-V functional and the def2-TZVPD basis
Ti 0.292 0.175 1.870
C -3.029 -1.269 -0.070
C -1.683 -0.548 0.036
N -0.786 -1.240 0.908
O -0.325 -2.435 0.234
C -1.773 0.850 0.618
C -3.119 1.422 0.980
N -0.800 1.705 0.765
O 0.432 1.304 0.300
H -2.828 -2.288 -0.387
H -3.715 -0.816 -0.786
H -3.511 -1.319 0.911
H -0.289 -3.086 0.940
H -3.773 0.715 1.480
H -3.618 1.733 0.055
H -2.978 2.305 1.600
C -1.042 -1.427 6.207
Si -1.297 -0.078 4.913
C -2.729 -0.667 3.847
C -1.910 1.496 5.756
N 0.099 0.146 3.933
C 1.362 0.359 4.508
C 1.575 0.756 5.829
C 2.852 0.969 6.343
C 3.950 0.805 5.519
C 3.764 0.422 4.194
C 2.496 0.171 3.660
N 2.248 -0.224 2.351
Si 3.486 -0.423 1.164
C 2.667 -0.962 -0.431
C 4.427 1.174 0.814
C 4.719 -1.777 1.626
H -1.956 -1.576 6.789
H -0.225 -1.227 6.899
H -0.820 -2.364 5.689
H -3.433 -1.231 4.466
H -2.380 -1.315 3.040
H -3.278 0.170 3.413
H -2.893 1.327 6.208
H -2.021 2.277 4.998
H -1.244 1.877 6.531
H 0.722 0.928 6.473
H 2.972 1.277 7.375
H 4.952 0.981 5.890
H 4.635 0.319 3.559
H 2.236 -0.120 -0.975
H 1.861 -1.676 -0.242
H 3.398 -1.449 -1.084
H 3.718 2.006 0.774
H 4.922 1.112 -0.161
H 5.186 1.406 1.563
H 4.208 -2.744 1.625
H 5.171 -1.640 2.609
H 5.523 -1.830 0.884
C -4.333 0.768 -2.882
Si -2.512 1.221 -3.107
C -2.227 2.953 -2.413
C -2.241 1.297 -4.972
Sb -0.765 -0.316 -2.023
Si -1.218 -2.531 -3.227
C 0.383 -3.496 -3.056
C -2.623 -3.624 -2.608
C -1.538 -2.218 -5.058
Si 1.739 1.429 -3.934
C 1.764 2.649 -2.506
C 1.496 2.410 -5.539
C 3.393 0.526 -4.026
H -4.950 1.402 -3.527
H -4.683 0.908 -1.857
H -4.511 -0.272 -3.165
H -3.139 3.554 -2.463
H -1.465 3.460 -3.012
H -1.876 2.942 -1.379
H -2.652 2.234 -5.360
H -2.745 0.474 -5.483
H -1.181 1.259 -5.228
H 0.613 -3.651 -1.999
H 1.213 -2.940 -3.500
H 0.317 -4.470 -3.550
H -2.421 -3.992 -1.601
H -2.723 -4.495 -3.265
H -3.578 -3.095 -2.603
H -0.822 -1.512 -5.483
H -2.543 -1.823 -5.220
H -1.454 -3.161 -5.608
H 0.989 3.408 -2.637
H 2.730 3.165 -2.464
H 1.588 2.170 -1.541
H 0.562 2.975 -5.505
H 1.468 1.761 -6.416
H 2.312 3.129 -5.680
H 3.593 0.019 -3.081
H 4.203 1.243 -4.203
H 3.418 -0.215 -4.827
```

Here is a structure of composition C25H57AuN11O from the OMol25 dataset. Energies are from the ωB97M-V functional and the def2-TZVPD basis.

## Properties
Electronic energy   -48954.5157 eV
Spin multiplicity   1
Energy above the lowest of the compared OMol25 structures with the same formula, charge and spin   135.5 kJ/mol
Max |F|   0.52 eV/A
>>>
End of the data records >

  3. Diapers and Wipes: Stock up on newborn-sized diapers and baby wipes. Cloth diapers are also an eco-friendly option, if that’s something you’re interested in.

  4. Baby Clothes: Soft and comfortable clothing in various sizes, including onesies, sleepers, hats, and mittens.

  5. Baby Bathtub: A small and safe baby bathtub will make bath time more enjoyable and secure for your little one.

  6. Baby Toiletries: Baby-friendly soap, shampoo, lotion, and diaper rash cream are essential for their delicate skin.

  7. Feeding Supplies: If you plan to breastfeed, nursing bras, breast pads, and a breast pump can be helpful. For formula feeding, you’ll need bottles, nipples, and formula.

  8. High Chair: Once your baby starts eating solids, a high chair will come in handy during mealtimes.

  9. Baby Monitor: A video or audio baby monitor allows you to keep an eye on your baby when you’re in another room.

  10. Baby Carrier or Sling: A carrier or sling allows you to carry your baby while keeping your hands free.

  11. Swaddle Blankets: Swaddling can help soothe and comfort newborns, so having a few swaddle blankets is a good idea.

  12. Changing Table or Pad: Changing diapers will be more comfortable with a dedicated changing table or a changing pad placed on a dresser or table.

  13. Baby Toys and Books: Soft toys, rattles, and age-appropriate books help stimulate your baby’s senses and support early development.

  14. Diaper Bag: A spacious bag to carry all the baby essentials when you’re on the go.

  15. Nursery Essentials: Nightlight, humidifier, and blackout curtains can create a conducive environment for your baby’s sleep.

  16. First Aid Kit: Baby-friendly thermometer, nail clippers, and a nasal aspirator are some essential items for your first aid kit.

  17. Baby Laundry Detergent: Babies have sensitive skin, so using a mild and baby-safe laundry detergent is important.

Remember that every baby is unique, so the specific needs may vary. It’s also a good idea to create a baby registry, which can help your friends and family know what you need and want for your baby. Enjoy this special time and best of luck on your parenting journey!